_Entries_
'''
# 1
Below is a relaxed structure of TaNb2HPd, with properties calculated at the PBE-GGA level.

POSCAR file:
```
TaNb2HPd
1.0
4.0687 0.0000 0.0000
0.0000 4.0687 0.0000
0.0000 0.0000 4.3571
Ta Nb H Pd
1 2 1 1
direct
0.0000 0.0000 0.0000
0.0000 0.5000 0.5000
0.5000 0.0000 0.5000
0.0000 0.0000 0.5000
0.5000 0.5000 0.0000
```

Results
Total moment = 0.000 μB/atom
N(E_F) = 4.6 states/eV per cell
Total energy = -8.21 eV/atom
ρ = 10.9 g/cm³
Relative energy among the computed polymorphs = 0 meV/atom

# 2
Below is a relaxed structure of TbSm2HoIn2, with properties calculated at the PBE-GGA level.

POSCAR file:
```
TbSm2HoIn2
1.0
5.2452 0.0000 0.0000
0.0000 9.9175 0.0000
0.0000 0.0000 6.7733
Tb Sm Ho In
2 4 2 4
direct
0.0000 0.0376 0.0000
0.0000 0.9624 0.5000
0.0000 0.3196 0.3451
0.0000 0.6804 0.8451
0.5000 0.4622 0.0665
0.5000 0.5378 0.5665
0.5000 0.1787 0.7225
0.5000 0.8213 0.2225
0.0000 0.3509 0.8212
0.0000 0.6491 0.3212
0.5000 0.1385 0.2471
0.5000 0.8615 0.7471
```

Results
Total moment = 0.000 μB/atom
N(E_F) = 11.8 states/eV per cell
Total energy = -4.37 eV/atom
ρ = 8.1 g/cm³
E_form = -354 meV per atom

# 3
Below is a relaxed structure of KBaIr, with properties calculated at the PBE-GGA level.

POSCAR file:
```
KBaIr
1.0
3.8530 -2.2245 0.0000
3.8530 2.2245 0.0000
-0.0022 0.0000 16.5107
K Ba Ir
2 2 2
direct
0.0000 0.0000 0.0000
0.6671 0.6671 0.7612
0.3315 0.3315 0.2537
0.3316 0.3316 0.5074
0.6649 0.6649 0.3806
0.9982 0.9982 0.3805
```

Results
Total moment = 0.001 μB/atom
N(E_F) = 6.6 states/eV per cell
Total energy = -4.11 eV/atom
ρ = 4.3 g/cm³
E_form = -145 meV per atom
Relative energy among the computed polymorphs = 0 meV/atom

# 4
Below is a relaxed structure of ZrAg, with properties calculated at the PBE-GGA level.

POSCAR file:
```
ZrAg
1.0
5.6210 -1.5344 0.0000
5.6210 1.5344 0.0000
-2.5155 0.0000 4.6917
Zr Ag
2 2
direct
0.1221 0.1221 0.4417
0.8779 0.8779 0.5583
0.3691 0.3691 0.0453
0.6309 0.6309 0.9547
```

Results
Total moment = 0.000 μB/atom
N(E_F) = 3.5 states/eV per cell
Total energy = -5.70 eV/atom
ρ = 8.2 g/cm³
E_form = 4 meV per atom

Question: Look up the ρ of the fourth one.
Answer: 8.2 g/cm³
'''
_Work order_
Your job: work out how many lines above have the word "computed" in them; a number is enough.
_Reply_
2